## Entries
********
Entry 1:
The following is a DFT calculation (PBE) of a relaxed structure of NpCuSe2.

Cell lengths 4.119, 6.487, 7.121 Å; angles 92.14, 90.00, 90.00 degrees
Sites, in units of the cell vectors:
1 Cu 0.500 0.362 0.844
2 Cu 0.500 0.638 0.156
3 Se 0.500 0.256 0.175
4 Se 0.500 0.744 0.825
5 Se 0.000 0.747 0.326
6 Se 0.000 0.253 0.674
7 Np 0.500 0.000 0.500
8 Np 0.000 0.000 0.000

Results
Density (Mg/m³): 8.01
Raw formation energy (eV per atom): -0.766

Entry 2:
The following is a DFT calculation (PBE) of a relaxed structure of NpCuSe2.

Cell lengths 7.352, 6.609, 7.107 Å; angles 82.75, 90.00, 90.00 degrees
Sites, in units of the cell vectors:
1 Cu 0.837 0.936 0.538
2 Cu 0.337 0.064 0.962
3 Cu 0.663 0.936 0.038
4 Cu 0.163 0.064 0.462
5 Np 0.049 0.693 0.203
6 Np 0.549 0.307 0.297
7 Np 0.951 0.307 0.797
8 Np 0.451 0.693 0.703
9 Se 0.891 0.102 0.211
10 Se 0.391 0.898 0.289
11 Se 0.109 0.898 0.789
12 Se 0.729 0.583 0.998
13 Se 0.609 0.102 0.711
14 Se 0.271 0.417 0.002
15 Se 0.771 0.583 0.498
16 Se 0.229 0.417 0.502

Results
Density (Mg/m³): 8.89
Raw formation energy (eV per atom): -0.775

Entry 3:
The following is a DFT calculation (PBE) of a relaxed structure of Np3Cu5Se12.

Cell lengths 13.307, 13.307, 13.307 Å; angles 109.47, 109.47, 109.47 degrees
Sites, in units of the cell vectors:
1 Np 0.250 0.625 0.875
2 Np 0.750 0.875 0.625
3 Np 0.625 0.250 0.375
4 Np 0.750 0.375 0.125
5 Np 0.625 0.375 0.750
6 Np 0.250 0.125 0.375
7 Np 0.875 0.125 0.250
8 Np 0.125 0.875 0.750
9 Np 0.125 0.250 0.875
10 Np 0.875 0.750 0.125
11 Np 0.375 0.750 0.625
12 Np 0.375 0.625 0.250
13 Se 0.413 0.375 0.588
14 Se 0.462 0.787 0.875
15 Se 0.175 0.088 0.713
16 Se 0.713 0.588 0.175
17 Se 0.875 0.588 0.913
18 Se 0.675 0.213 0.588
19 Se 0.675 0.462 0.587
20 Se 0.462 0.675 0.087
21 Se 0.213 0.675 0.088
22 Se 0.825 0.913 0.038
23 Se 0.825 0.912 0.287
24 Se 0.038 0.413 0.825
25 Se 0.625 0.587 0.912
26 Se 0.587 0.962 0.675
27 Se 0.913 0.825 0.538
28 Se 0.962 0.375 0.287
29 Se 0.125 0.713 0.538
30 Se 0.088 0.913 0.375
31 Se 0.912 0.087 0.625
32 Se 0.413 0.038 0.325
33 Se 0.538 0.325 0.913
34 Se 0.412 0.125 0.587
35 Se 0.375 0.413 0.088
36 Se 0.625 0.038 0.213
37 Se 0.538 0.213 0.125
38 Se 0.038 0.625 0.713
39 Se 0.175 0.087 0.962
40 Se 0.325 0.787 0.412
41 Se 0.325 0.538 0.413
42 Se 0.213 0.538 0.625
43 Se 0.588 0.713 0.675
44 Se 0.125 0.412 0.087
45 Se 0.875 0.287 0.462
46 Se 0.588 0.875 0.413
47 Se 0.088 0.175 0.213
48 Se 0.962 0.587 0.175
49 Se 0.287 0.875 0.962
50 Se 0.787 0.325 0.912
51 Se 0.287 0.412 0.825
52 Se 0.412 0.287 0.325
53 Se 0.375 0.962 0.787
54 Se 0.912 0.825 0.787
55 Se 0.587 0.625 0.412
56 Se 0.087 0.912 0.125
57 Se 0.787 0.462 0.375
58 Se 0.713 0.125 0.038
59 Se 0.087 0.175 0.462
60 Se 0.913 0.088 0.875
61 Cu 0.250 0.875 0.125
62 Cu 0.500 0.000 0.500
63 Cu 0.750 0.625 0.375
64 Cu 0.375 0.250 0.125
65 Cu 0.875 0.250 0.625
66 Cu 0.125 0.375 0.250
67 Cu 0.000 0.500 0.000
68 Cu 0.875 0.625 0.750
69 Cu 0.750 0.125 0.875
70 Cu 0.500 0.000 0.000
71 Cu 0.625 0.750 0.875
72 Cu 0.500 0.500 0.500
73 Cu 0.125 0.750 0.375
74 Cu 0.000 0.500 0.500
75 Cu 0.500 0.500 0.000
76 Cu 0.000 0.000 0.500
77 Cu 0.375 0.125 0.750
78 Cu 0.625 0.875 0.250
79 Cu 0.250 0.375 0.625
80 Cu 0.000 0.000 0.000

Results
Density (Mg/m³): 7.24
Raw formation energy (eV per atom): -0.484

Entry 4:
The following is a DFT calculation (PBE) of a relaxed structure of NpCu2Se4.

Cell lengths 4.030, 4.030, 13.024 Å; angles 81.10, 81.10, 60.00 degrees
Sites, in units of the cell vectors:
1 Se 0.126 0.126 0.622
2 Se 0.626 0.626 0.121
3 Se 0.874 0.874 0.378
4 Se 0.374 0.374 0.879
5 Cu 0.189 0.189 0.432
6 Cu 0.811 0.811 0.568
7 Np 0.000 0.000 0.000

Results
Density (Mg/m³): 6.26
Raw formation energy (eV per atom): -0.476

Entry 5:
The following is a DFT calculation (PBE) of a relaxed structure of NpCuSe.

Cell lengths 5.312, 5.312, 6.498 Å; angles 78.05, 78.05, 42.71 degrees
Sites, in units of the cell vectors:
1 Cu 0.674 0.674 0.249
2 Cu 0.080 0.080 0.059
3 Np 0.989 0.989 0.537
********
## To do
Restate everything above unchanged.
## Done
Entry 1:
The following is a DFT calculation (PBE) of a relaxed structure of NpCuSe2.

Cell lengths 4.119, 6.487, 7.121 Å; angles 92.14, 90.00, 90.00 degrees
Sites, in units of the cell vectors:
1 Cu 0.500 0.362 0.844
2 Cu 0.500 0.638 0.156
3 Se 0.500 0.256 0.175
4 Se 0.500 0.744 0.825
5 Se 0.000 0.747 0.326
6 Se 0.000 0.253 0.674
7 Np 0.500 0.000 0.500
8 Np 0.000 0.000 0.000

Results
Density (Mg/m³): 8.01
Raw formation energy (eV per atom): -0.766

Entry 2:
The following is a DFT calculation (PBE) of a relaxed structure of NpCuSe2.

Cell lengths 7.352, 6.609, 7.107 Å; angles 82.75, 90.00, 90.00 degrees
Sites, in units of the cell vectors:
1 Cu 0.837 0.936 0.538
2 Cu 0.337 0.064 0.962
3 Cu 0.663 0.936 0.038
4 Cu 0.163 0.064 0.462
5 Np 0.049 0.693 0.203
6 Np 0.549 0.307 0.297
7 Np 0.951 0.307 0.797
8 Np 0.451 0.693 0.703
9 Se 0.891 0.102 0.211
10 Se 0.391 0.898 0.289
11 Se 0.109 0.898 0.789
12 Se 0.729 0.583 0.998
13 Se 0.609 0.102 0.711
14 Se 0.271 0.417 0.002
15 Se 0.771 0.583 0.498
16 Se 0.229 0.417 0.502

Results
Density (Mg/m³): 8.89
Raw formation energy (eV per atom): -0.775

Entry 3:
The following is a DFT calculation (PBE) of a relaxed structure of Np3Cu5Se12.

Cell lengths 13.307, 13.307, 13.307 Å; angles 109.47, 109.47, 109.47 degrees
Sites, in units of the cell vectors:
1 Np 0.250 0.625 0.875
2 Np 0.750 0.875 0.625
3 Np 0.625 0.250 0.375
4 Np 0.750 0.375 0.125
5 Np 0.625 0.375 0.750
6 Np 0.250 0.125 0.375
7 Np 0.875 0.125 0.250
8 Np 0.125 0.875 0.750
9 Np 0.125 0.250 0.875
10 Np 0.875 0.750 0.125
11 Np 0.375 0.750 0.625
12 Np 0.375 0.625 0.250
13 Se 0.413 0.375 0.588
14 Se 0.462 0.787 0.875
15 Se 0.175 0.088 0.713
16 Se 0.713 0.588 0.175
17 Se 0.875 0.588 0.913
18 Se 0.675 0.213 0.588
19 Se 0.675 0.462 0.587
20 Se 0.462 0.675 0.087
21 Se 0.213 0.675 0.088
22 Se 0.825 0.913 0.038
23 Se 0.825 0.912 0.287
24 Se 0.038 0.413 0.825
25 Se 0.625 0.587 0.912
26 Se 0.587 0.962 0.675
27 Se 0.913 0.825 0.538
28 Se 0.962 0.375 0.287
29 Se 0.125 0.713 0.538
30 Se 0.088 0.913 0.375
31 Se 0.912 0.087 0.625
32 Se 0.413 0.038 0.325
33 Se 0.538 0.325 0.913
34 Se 0.412 0.125 0.587
35 Se 0.375 0.413 0.088
36 Se 0.625 0.038 0.213
37 Se 0.538 0.213 0.125
38 Se 0.038 0.625 0.713
39 Se 0.175 0.087 0.962
40 Se 0.325 0.787 0.412
41 Se 0.325 0.538 0.413
42 Se 0.213 0.538 0.625
43 Se 0.588 0.713 0.675
44 Se 0.125 0.412 0.087
45 Se 0.875 0.287 0.462
46 Se 0.588 0.875 0.413
47 Se 0.088 0.175 0.213
48 Se 0.962 0.587 0.175
49 Se 0.287 0.875 0.962
50 Se 0.787 0.325 0.912
51 Se 0.287 0.412 0.825
52 Se 0.412 0.287 0.325
53 Se 0.375 0.962 0.787
54 Se 0.912 0.825 0.787
55 Se 0.587 0.625 0.412
56 Se 0.087 0.912 0.125
57 Se 0.787 0.462 0.375
58 Se 0.713 0.125 0.038
59 Se 0.087 0.175 0.462
60 Se 0.913 0.088 0.875
61 Cu 0.250 0.875 0.125
62 Cu 0.500 0.000 0.500
63 Cu 0.750 0.625 0.375
64 Cu 0.375 0.250 0.125
65 Cu 0.875 0.250 0.625
66 Cu 0.125 0.375 0.250
67 Cu 0.000 0.500 0.000
68 Cu 0.875 0.625 0.750
69 Cu 0.750 0.125 0.875
70 Cu 0.500 0.000 0.000
71 Cu 0.625 0.750 0.875
72 Cu 0.500 0.500 0.500
73 Cu 0.125 0.750 0.375
74 Cu 0.000 0.500 0.500
75 Cu 0.500 0.500 0.000
76 Cu 0.000 0.000 0.500
77 Cu 0.375 0.125 0.750
78 Cu 0.625 0.875 0.250
79 Cu 0.250 0.375 0.625
80 Cu 0.000 0.000 0.000

Results
Density (Mg/m³): 7.24
Raw formation energy (eV per atom): -0.484

Entry 4:
The following is a DFT calculation (PBE) of a relaxed structure of NpCu2Se4.

Cell lengths 4.030, 4.030, 13.024 Å; angles 81.10, 81.10, 60.00 degrees
Sites, in units of the cell vectors:
1 Se 0.126 0.126 0.622
2 Se 0.626 0.626 0.121
3 Se 0.874 0.874 0.378
4 Se 0.374 0.374 0.879
5 Cu 0.189 0.189 0.432
6 Cu 0.811 0.811 0.568
7 Np 0.000 0.000 0.000

Results
Density (Mg/m³): 6.26
Raw formation energy (eV per atom): -0.476

Entry 5:
The following is a DFT calculation (PBE) of a relaxed structure of NpCuSe.

Cell lengths 5.312, 5.312, 6.498 Å; angles 78.05, 78.05, 42.71 degrees
Sites, in units of the cell vectors:
1 Cu 0.674 0.674 0.249
2 Cu 0.080 0.080 0.059
3 Np 0.989 0.989 0.537